Wanted =
Next, filter the calculation results underneath: keep the lines with the word "Zn".

Entries =
-- begin --
Computed, not measured: a relaxed PmPrEuTm crystal at the GGA-PBE level of DFT.

Geometry as extended XYZ:
```
4
Lattice="-1.855 3.783 4.034 -4.810 -1.156 3.089 0.421 -1.335 5.662" Properties=species:S:1:pos:R:3 pbc="T T T"
Eu -3.122 0.646 6.392
Tm 0.000 0.000 0.000
Pm -4.683 0.969 9.589
Pr -1.561 0.323 3.196
```

Calculated values
**Density of states at the Fermi level**: 6.21 states/eV per cell
**VASP energy**: -0.437 Ry per atom
**Energy relative to the elements**: 0.130 eV per atom


Computed, not measured: a relaxed PmPrEuY crystal at the GGA-PBE level of DFT.

Geometry as extended XYZ:
```
4
Lattice="-5.748 -0.515 1.060 -1.858 -2.847 4.782 -2.446 2.980 4.423" Properties=species:S:1:pos:R:3 pbc="T T T"
Eu -7.539 -0.287 7.699
Y -2.513 -0.096 2.566
Pr 0.000 0.000 0.000
Pm -5.026 -0.191 5.132
```

Calculated values
**Density of states at the Fermi level**: 6.55 states/eV per cell
**VASP energy**: -0.473 Ry per atom
**Energy relative to the elements**: 0.129 eV per atom


Computed, not measured: a relaxed PmPrEuZn crystal at the GGA-PBE level of DFT.

Geometry as extended XYZ:
```
4
Lattice="5.523 0.000 0.000 2.762 4.783 0.000 2.762 1.594 4.510" Properties=species:S:1:pos:R:3 pbc="T T T"
Pm 5.523 3.189 2.255
Zn 8.285 4.783 3.382
Eu 2.762 1.594 1.127
Pr 0.000 0.000 0.000
```

Calculated values
**Density of states at the Fermi level**: 4.01 states/eV per cell
**VASP energy**: -0.384 Ry per atom
**Energy relative to the elements**: 0.045 eV per atom


Here is crystalline AsRuCl2 at its relaxed geometry from Alexandria via LeMat-Bulk. Energies are from GGA-PBE.

Values from the calculation:
Uncorrected formation energy, eV per atom: -0.07
Offset from the most stable computed form, meV/atom: 251
Crystal system: trigonal

Lattice parameters (Å, degrees): 8.8523 8.8523 8.8523 22.37 22.37 22.37
With the nearest neighbours (Å) after each atom.
Positions (direct):
As  0.0000  0.0000  0.0000  3 Ru 2.41
Ru  0.7196  0.7196  0.7196  3 As 2.41, 3 Cl 2.59
Cl  0.2584  0.2584  0.2584  3 As 2.77
Cl  0.4509  0.4509  0.4509  3 Ru 2.59

=====

Here is crystalline Pr5In6 at its relaxed geometry from Alexandria via LeMat-Bulk. Energies are from GGA-PBE.

Values from the calculation:
Formation enthalpy at 0 K, meV per atom: -382
Crystal system: orthorhombic

Lattice parameters (Å, degrees): 9.3483 9.3483 9.3483 146.37 131.62 60.21
With the nearest neighbours (Å) after each atom.
Positions (direct):
Pr  0.0000  0.0000  0.0000  8 In 3.24-3.54
Pr  0.1573  0.6573  0.5000  8 In 3.42-3.54, 4 Pr 3.71-3.72
Pr  0.3149  0.3149  0.0000  8 In 3.23-3.44
Pr  0.6851  0.6851  0.0000  8 In 3.23-3.44
Pr  0.8427  0.3427  0.5000  8 In 3.42-3.54, 4 Pr 3.71-3.72
In  0.1321  0.8504  0.2817  7 Pr 3.23-3.54, 1 In 3.35
In  0.2991  0.5000  0.7991  1 In 3.08, 4 Pr 3.37-3.42
In  0.4313  0.1496  0.2817  7 Pr 3.23-3.54, 1 In 3.35
In  0.5687  0.8504  0.7183  7 Pr 3.23-3.54, 1 In 3.35
In  0.7009  0.5000  0.2009  1 In 3.08, 4 Pr 3.37-3.42
In  0.8679  0.1496  0.7183  7 Pr 3.23-3.54, 1 In 3.35

=====

Here is crystalline Ba8SrCa5 at its relaxed geometry from Alexandria via LeMat-Bulk. Energies are from GGA-PBE.

Values from the calculation:
Formation enthalpy at 0 K, meV per atom: 162
Crystal system: tetragonal

Lattice parameters (Å, degrees): 10.1452 10.1452 10.1452 111.14 111.14 106.19
With the nearest neighbours (Å) after each atom.
Positions (direct):
Ba  0.1809  0.4080  0.5850  1 Sr 3.84, 5 Ca 3.85-4.25
Ba  0.3354  0.2277  0.2412  5 Ca 3.96-4.37, 3 Ba 4.29-4.35
Ba  0.4041  0.8191  0.2271  1 Sr 3.84, 5 Ca 3.85-4.25
Ba  0.5920  0.1769  0.7729  1 Sr 3.84, 5 Ca 3.85-4.25
Ba  0.7723  0.0135  0.1077  5 Ca 3.96-4.37, 3 Ba 4.29-4.35
Ba  0.8231  0.5959  0.4150  1 Sr 3.84, 5 Ca 3.85-4.25
Ba  0.9058  0.6646  0.8923  5 Ca 3.96-4.37, 3 Ba 4.29-4.35
Ba  0.9865  0.0942  0.7588  5 Ca 3.96-4.37, 3 Ba 4.29-4.35
Sr  0.5000  0.5000  0.0000  4 Ba 3.84
Ca  0.0632  0.4770  0.1915  8 Ba 3.95-4.37, 2 Ca 4.11
Ca  0.1283  0.9368  0.4137  8 Ba 3.95-4.37, 2 Ca 4.11
-- stop --

Reply =
Zn 8.285 4.783 3.382